
Blogging From a Top-Floor Hotel Room

People often assume he shoots his beautiful images with a drone or that he creates them on a computer, but that’s not it at all, says Virtuoso travel photog Gray Malin. What you see in the magazine is the result of him going up in a helicopter and leaning out the side to find timeless imagery. The idea of shooting from above came to Malin, he says, when he was somewhere in a hotel with a birdseye view of a giant swimming pool filled with people and realized he could create tableaus of beachgoers and beaches from a new and different perspective.

Perspective is everything when it comes to business blog content. Whether a business owner is composing his/her own blog posts or collaborating with a professional content writer, it’s simply not enough to provide even very potentially valuable information to online searchers.  Think of the facts – about the business, the services, and the products offered  – as raw ingredients which must be “translated”. For every fact about the company or about one of its products or services, a blog post addresses unspoken questions such as “So, is that different?”, “So, is that good for me?”  

Many business owners and practitioners make use of statistics in their blog posts, and that’s a good thing for a couple of reasons:

  • Numbers help debunk myths and dispel false impressions relating to your field or product.
  • Numbers help demonstrate the extent of the problem your business or practice helps solve.

But statistics, too, need to be put into perspective for readers. Before a reader even has time to ask “So what?” we need to be ready with an answer that makes sense in terms with which readers are familiar. I call it blogging new knowledge on things readers already know.

Photographer Gray Malin understood that content (in his case pictorial) offered to readers must “own” a unique perspective. There’s certainly no lack of content in either print or online media, and no lack of experts (at least purported experts) in the travel field or any other. Malin understood that he needed to go beyond presenting photos and offer a unique perspective.

[Unrelated to this piece: records of crystals]
+++
[1]
InSiAu2 | GGA-PBE | optimized geometry

The value obtained for the uncorrected energy is -3.525 eV per atom.

abc: 4.546 4.546 3.723
angles: 90.00 90.00 90.00
Sites, in units of the cell vectors:
In: 0.000 0.000 0.000
Si: 0.500 0.500 0.000
Au: 0.000 0.500 0.500
Au: 0.500 0.000 0.500

[2]
BaEuZnAg | GGA-PBE | optimized geometry

As for the formation energy: -0.1957 eV per atom.

abc: 5.609 5.609 5.609
angles: 60.00 60.00 60.00
Sites, in units of the cell vectors:
Ba: 0.000 0.000 0.000
Eu: 0.500 0.500 0.500
Zn: 0.750 0.750 0.750
Ag: 0.250 0.250 0.250

[3]
AlWAu2 | GGA-PBE | optimized geometry

As for the formation energy: 0.1177 eV per atom.

abc: 2.847 4.210 5.740
angles: 90.00 104.34 90.00
Sites, in units of the cell vectors:
Al: 0.000 0.000 0.000
W: 0.397 0.500 0.796
Au: 0.134 0.500 0.272
Au: 0.763 0.000 0.528

[4]
Ti6GaBi3 | GGA-PBE | optimized geometry

As for the formation energy: -0.0463 eV per atom.

abc: 8.136 8.136 7.122
angles: 90.00 90.00 116.97
Sites, in units of the cell vectors:
Ti: 0.006 0.560 0.488
Ti: 0.065 0.935 0.500
Ti: 0.198 0.391 0.285
Ti: 0.258 0.742 0.202
Ti: 0.391 0.198 0.785
Ti: 0.440 0.994 0.488
Ti: 0.560 0.006 0.988
Ti: 0.609 0.802 0.285
Ti: 0.742 0.258 0.702
Ti: 0.802 0.609 0.785
Ti: 0.935 0.065 0.000
Ti: 0.994 0.440 0.988
Ga: 0.192 0.808 0.790
Ga: 0.808 0.192 0.290
Bi: 0.111 0.296 0.664
Bi: 0.296 0.111 0.164
Bi: 0.426 0.574 0.961
Bi: 0.574 0.426 0.461
Bi: 0.704 0.889 0.664
Bi: 0.889 0.704 0.164

[5]
PrDy12Tm6 | GGA-PBE | optimized geometry

The calculation puts the energy relative to the lowest polymorph listed for this composition at 0.000 eV per atom. As for the formation energy: 0.1561 eV per atom.

abc: 8.482 8.482 8.482
angles: 88.41 88.41 88.41
Sites, in units of the cell vectors:
Pr: 0.000 0.000 0.000
Dy: 0.010 0.207 0.358
Dy: 0.207 0.358 0.010
Dy: 0.225 0.457 0.566
Dy: 0.358 0.010 0.207
Dy: 0.434 0.775 0.543
Dy: 0.457 0.566 0.225
Dy: 0.543 0.434 0.775
Dy: 0.566 0.225 0.457
Dy: 0.642 0.990 0.793
Dy: 0.775 0.543 0.434
Dy: 0.793 0.642 0.990
Dy: 0.990 0.793 0.642
Tm: 0.094 0.689 0.257
Tm: 0.257 0.094 0.689
Tm: 0.311 0.743 0.906
Tm: 0.689 0.257 0.094
Tm: 0.743 0.906 0.311
Tm: 0.906 0.311 0.743

[6]
HgAu4Se | GGA-PBE | optimized geometry

The value obtained for the uncorrected energy is -2.612 eV per atom.

abc: 5.589 5.589 5.589
angles: 60.00 60.00 60.00
Sites, in units of the cell vectors:
Hg: 0.000 0.000 0.000
Au: 0.375 0.375 0.375
Au: 0.375 0.375 0.876
Au: 0.375 0.876 0.375
Au: 0.876 0.375 0.375
Se: 0.750 0.750 0.750

[7]
TbY2Cu | GGA-PBE | optimized geometry

The calculation puts the energy relative to the lowest polymorph listed for this composition at 0.134 eV per atom. As for the formation energy: 0.0273 eV per atom.

abc: 9.891 9.891 9.891
angles: 21.47 21.47 21.47
Sites, in units of the cell vectors:
Tb: 0.000 0.000 0.000
Y: 0.566 0.566 0.566
Y: 0.766 0.766 0.766
Cu: 0.165 0.165 0.165

[8]
PmPr6Dy12 | GGA-PBE | optimized geometry
+++

In fact, what Gray Malin says of his top-floor style of travelogues is a great example for business blog content writing: “It all goes into creating something that’s unique to that location, but still universally appealing.”



Your Blog Has Three Jobs: Solve. Excite. Speak


Frong Prince lipstick

“Things aren’t always what they seem. Sometimes you have to kiss a few frogs before you find your prince!” Those rather unoriginal observations are attributed to Poppy King, founder of Lipstick Queen, the company that gets heads turning with Frog Prince, “a remarkable lilypad green lipstick that transforms lips into a pretty rosebud pink”.

I’m not exactly into the green lipstick thing, but I do absolutely love the statement I heard Poppy make during an Evine TV promotion:

“Every company,“ Poppy said, “has three jobs to do:

  • Solve the problem.
  • Excite the imagination.
  • Speak the truth.”

As profound a statement as I believe I’ve ever heard in a sales pitch, Poppy’s words certainly apply to the work we do as business blog content writers.

Solve the problem.
People are online searching for answers to their problems and solutions for dilemmas they’re facing.  If your business consistently posts content offering valuable information and advice, those people are going to find you and  at least some will want to become your customers..

Excite the imagination.
Readers came online searching for information, products, or services, and they are not going to take the time to read the full text of your blog post without assurance that they’ve come to the right place and that this will be a short, fast, exciting read. Use the title to establish a “hook” to excite visitors’ imagination.

Speak the truth.
Myth debunking is a great use for corporate blog content. That’s because in the natural course of doing business, misunderstandings about a product or service often surface in the form of customer questions and comments.

Your blog has three jobs:  Solve. Excite. Speak.

Unrelated to this text: data records:
+++
1.
Ag2Bi2Se: single point on PBEsol structure, meta-GGA SCAN.

## Properties
The value obtained for the formation energy from raw total energies is 95 kJ/mol of formula units. The magnetic moment is 0.0 Bohr magnetons per cell.

Cell lengths 3.8056, 3.8056, 16.3442 Å; angles 90.00, 90.00, 90.00 degrees
Last column: nearest neighbours and their distance in Å.
Space group I4/mmm (No. 139)
Asymmetric unit:
Ag  0.0000  0.5000  0.2500  4 Ag 2.69
Bi  0.0000  0.0000  0.1047  4 Ag 3.04, 4 Se 3.19
Se  0.0000  0.0000  0.5000  8 Bi 3.19

***

2.
MgMo2Br: single point on PBEsol structure, meta-GGA SCAN.

## Properties
The value obtained for the formation energy from raw total energies is 363 kJ/mol of formula units. The magnetic moment is 0.0 Bohr magnetons per cell.

Cell lengths 5.1771, 9.0761, 2.8973 Å; angles 90.00, 90.00, 90.00 degrees
Last column: nearest neighbours and their distance in Å.
Space group Cmmm (No. 65)
Asymmetric unit:
Mg  0.0000  0.0000  0.0000  2 Br 2.59, 2 Mg 2.90
Mo  0.2500  0.2500  0.5000  4 Mo 2.59-2.90
Br  0.0000  0.5000  0.0000  2 Mg 2.59, 2 Br 2.90

***

3.
AgHgPt: single point on PBEsol structure, meta-GGA SCAN.

## Properties
The calculation puts the energy relative to the elements at 0.05 eV/atom. The magnetic moment is 0.0 Bohr magnetons per cell.

Cell lengths 2.9201, 4.0527, 8.6139 Å; angles 90.00, 90.00, 90.00 degrees
Last column: nearest neighbours and their distance in Å.
Space group Imm2 (No. 44)
Asymmetric unit:
Ag  0.0000  0.0000  0.0000  5 Hg 2.83-2.90, 5 Pt 2.87-2.90, 2 Ag 2.92
Hg  0.0000  0.0000  0.6715  5 Ag 2.83-2.90, 5 Pt 2.88, 2 Hg 2.92
Pt  0.0000  0.0000  0.3369  5 Ag 2.87-2.90, 5 Hg 2.88, 2 Pt 2.92

***

4.
Rb2SnO3: single point on PBEsol structure, meta-GGA SCAN.

## Properties
The value obtained for the formation energy from raw total energies is -968 kJ/mol of formula units. The magnetic moment is 0.9 Bohr magnetons per cell.

Cell lengths 6.0182, 12.4653, 13.2216 Å; angles 90.00, 90.00, 90.00 degrees
Last column: nearest neighbours and their distance in Å.
Space group Cmce (No. 64)
Asymmetric unit:
Rb  0.0000  0.0482  0.1386  5 O 2.82-3.05
Rb  0.0000  0.1225  0.5758  6 O 2.80-3.07
Sn  0.0000  0.2439  0.3380  4 O 1.93-2.01
O  0.0000  0.0900  0.3554  1 Sn 1.93
O  0.0000  0.1601  0.9532  1 Sn 1.94
O  0.2500  0.2041  0.7500  2 Sn 2.01

***

5.
YAs2Ru: single point on PBEsol structure, meta-GGA SCAN.

## Properties
The calculation puts the energy relative to the elements at -0.41 eV/atom. The magnetic moment is 0.0 Bohr magnetons per cell.

Cell lengths 4.4719, 4.4719, 16.6127 Å; angles 90.00, 90.00, 90.00 degrees
Last column: nearest neighbours and their distance in Å.
Space group I-42d (No. 122)
Asymmetric unit:
Y  0.0000  0.0000  0.0000  4 As 2.85, 4 Ru 3.16
As  0.1407  0.2500  0.6250  2 Ru 2.44, 2 As 2.57
Ru  0.0000  0.0000  0.5000  4 As 2.44

***

6.
Mg2PW: single point on PBEsol structure, meta-GGA SCAN.

## Properties
+++
Here the text continues:



For Kazoos and Blog Marketing, Don’t Blow – Hum!

childs red gazzooWant to pick up the kazoo?  Start with Rule No. 1, advises Barbara Stewart, a classical musician who took the humble instrument all the way to Carnegie Hall. What is Rule #1? Hum, don’t blow.

Always on the hunt for interesting trivia to use as business blog content writing fodder, I was fascinated to learn that the first documented invention of the kazoo was in 1883, but it was not until 1902 that the version we know today was patented by George D. Smith.  One of the original kazoo factories is still in business today in Eden, New York.

Barbara Stewart was an anomaly among serious musicians; the kazoo had lost popularity among professionals, who recognized its serious limitations (although the Beatles and Jimi Hendrix each used it in certain of their songs).

Point is, there’s a lot of similarity – and symbolism – in the kazoo for us business blog content creators.

1. Blogs are not “serious literature”.
“It’s important to distinguish between creating multimedia content and writing in a pure literary sense,” Timothy Bowers tells authors who use blogs to promote their books. “A writer’s blog should deliver the text, and as little else as possible,” is his advice. Strategies and techniques used by other bloggers (hyperlinks, images, embedded videos) do not fall under the category of writing in a pure literary sense, he adds.

2. Like Kazoos, whose musical range is limited, blog posts are, by definition, short pieces, which limits the quality of character and theme development possible in longer works.
While the Internet marketing mantra proposed by, “Every piece of content should be as long as it takes to convey the message, and no longer” may be applied to writing of every ilk, blog posts, unlike, say novels, are best when focused on a single message or theme. Novels in contrast may effectively and purposefully meander into character development and even philosophical musing. What each blog post does is focus on just one aspect of your business, so that online searchers can feel at ease and not be distracted with all the other information you have to offer.

3. Blogs, like kazoos, should be hummed, not blown.
The secret of successful business blogging, I found, lies in not “blowing your own horn”, in other words coming on too strong.  A blog is not an advertisement; you might say it’s an advertorial,. staying in “softly, softly” mode. As a content writer for a business or practice, you’re answering readers’ questions and “humming” solutions, not blowing them in readers’ faces!




It’s All in the Game for Your Business Blog

Carnival Game with Ducks“There’s a unique recipe that goes into coming out ahead in just about anything,” Jessanne Collins writes in Mental Floss, “an enigmatic equation of skill, technique, calculation, probability, chance, and all kinds of other immeasurable factors.” Collins examines competitions ranging from carnival games to spelling bees and Texas Hold “Em poker, concluding that the perfect formula for winning is uncrackable.

Despite the myriad of words devoted to blogging advice, the secret code for blogging success is probably uncrackable as well. Still, I can’t help thinking, the equation for business blog content writing contains all same basic elements Collins found in poker playing and carnival games:

“The vast majority of content online is poorly written,” laments Kevin Muldoon of While anyone who can use the Internet can technically write a blog post, all content is not created equal, he observes.

“The best writers are also keen readers,” advises, adding that content writers must expand their horizons to more challenging material than they typically read, paying special attention to sentence structure, word choice, and flow.

Great blog posts begin with planning, and that means creating outlines, doing research using authoritative resources, fact-checking, creating good headlines, editing, using images, and inserting humor judiciously, continues.

“In our site reviews we often see that a site’s category / tag structure is completely unmanaged,” reports Joost de Valk in Yoast. When used correctly a good “taxonomy” system can boost your blog’s SEO; when used incorrectly, he says, “it’ll break things”. Using analytical tools is the blogger’s way of calculating which tactics are most likely to succeed.

“Until you’ve had a chance to build up a target audience, you’re dealing with assumptions and educated guesses based on your first-hand experience and anecdotal evidence,” says Peep Laja of  After you learn more about the market, you can pivot, changing direction to fit the facts.

Just as with carnivals, spelling bees, and Texas Hold “Em poker, with corporate blog writing, it’s all in the game!



Highlight the Team in Your Business Blogs

Multicultural smile
Highlighting your team is a great way to bring your readers behind the scenes and let them see the team camaraderie. This kind of transparency builds trust with your readers,” says Any Porterfield in socialmediaexaminer.  “Your team can help you keep things informal, fun and relatable,” she adds.

Since I work as a professional ghost blogger, I’ve obviously needed to abandon most of my generational bias towards long, individually composed business letters and long phone conversations and come into the world of electronic marketing tools.  But there’s a reason  I gravitated towards composing blogs rather than website copy.  In a way, blogs are the humanizing factor in the online communications family. The blogs are where you meet the people running the business or professional practice.

One interesting perspective on the work we do as professional bloggers is that we are interpreters, translating clients’ corporate message into human, people-to-people terms. In fact, one reason I prefer first and second person writing in business blog posts over third person “reporting” is that I believe people tend to buy when they see themselves in the picture and when can they relate emotionally to the person bringing them the message.

“Getting down and human” in business blogs is so important that it becomes a good idea for a business owner and professional to actually write about past mistakes and struggles. After all, it’s much easier to connect to someone who has been where you are.

It’s interesting – blogging is an essential customer acquisition tool in our increasingly web-based world, but very few business owners can spare the time to post relevant, new material with enough consistency and frequency to have much of an effect. As blog content writers, our Say It for You team is providing that service, which seems like a contradiction to the idea of the readers meeting the actual team of employees who are providing the product or service..

Not really. Even if your hired gun “ghost blogger” is doing the writing, employees themselves can provide anecdotes and information, and different blog posts can feature different employees and owners.

Humanizing the blog by bringing readers behind the scenes helps keep your company or professional practice relatable. The old saw still applies: People want to do business with people!

